Give back everything below word for word.

........
1.
{"formula": "C19H23NO5S", "method": "ωB97M-V/def2-TZVPD", "lumo_energy_ev": 0.56, "energy_ev": -42638.56610, "smiles": "COc1ccccc1S(=O)(=O)Cc1ccc(C(=O)NC2CCCCC2)o1", "homo_lumo_gap_ev": 9.475, "relative_energy_kj_mol": 92.84, "symbols": ["S", "O", "O", "O", "O", "O", "N", "C", "C", "C", "C", "C", "C", "C", "C", "C", "C", "C", "C", "C", "C", "C", "C", "C", "C", "C", "H", "H", "H", "H", "H", "H", "H", "H", "H", "H", "H", "H", "H", "H", "H", "H", "H", "H", "H", "H", "H", "H", "H"], "coordinates": [[-2.435, 1.307, -1.049], [3.475, 2.039, 0.424], [-2.566, -1.401, -0.744], [-1.499, 0.871, -2.046], [0.073, 2.394, -0.515], [-3.835, 1.145, -1.322], [2.051, 0.710, -0.751], [2.923, -0.439, -0.864], [1.264, 2.790, -0.008], [-2.834, -2.779, -0.877], [-0.815, 3.381, -0.307], [1.084, -2.029, -1.574], [-1.700, 1.111, 1.679], [-2.195, -0.912, 0.451], [-1.946, -1.659, 1.601], [-2.195, 3.119, -0.775], [1.672, -1.795, 0.851], [-0.207, 4.424, 0.338], [-1.566, -1.019, 2.768], [2.408, -1.370, -1.961], [-1.443, 0.359, 2.816], [1.219, -2.758, -0.241], [3.015, -1.177, 0.479], [2.387, 1.830, -0.082], [1.141, 4.041, 0.532], [-2.058, 0.479, 0.509], [-1.934, -3.380, -0.713], [0.266, -3.212, 0.038], [3.923, -0.064, -1.121], [-2.045, -2.733, 1.591], [1.121, 0.634, -1.137], [-2.957, 3.455, -0.076], [-1.367, -1.607, 3.651], [-0.664, 5.347, 0.633], [0.796, -2.734, -2.357], [3.337, -0.470, 1.244], [1.953, -3.562, -0.339], [1.917, 4.608, 1.003], [3.772, -1.960, 0.398], [-1.153, 0.849, 3.732], [2.285, -0.807, -2.888], [1.760, -2.323, 1.803], [-3.623, -3.100, -0.190], [0.926, -1.007, 0.977], [-1.618, 2.185, 1.717], [-2.391, 3.552, -1.756], [0.291, -1.280, -1.509], [-3.172, -2.908, -1.903], [3.159, -2.144, -2.133]], "lowdin_charge": [0.73, 0.08, -0.10, -0.28, 0.03, -0.29, 0.13, -0.30, -0.15, -0.05, -0.33, -0.19, -0.05, -0.28, -0.01, -0.11, -0.19, 0.00, -0.07, -0.14, -0.07, -0.20, -0.14, -0.43, 0.03, -0.18, 0.08, 0.09, 0.15, 0.11, 0.13, 0.12, 0.11, 0.11, 0.11, 0.11, 0.12, 0.12, 0.12, 0.11, 0.12, 0.11, 0.10, 0.10, 0.11, 0.12, 0.09, 0.10, 0.12]}

=====

2.
........

1.
{"formula": "C19H23NO5S", "method": "ωB97M-V/def2-TZVPD", "lumo_energy_ev": 0.56, "energy_ev": -42638.56610, "smiles": "COc1ccccc1S(=O)(=O)Cc1ccc(C(=O)NC2CCCCC2)o1", "homo_lumo_gap_ev": 9.475, "relative_energy_kj_mol": 92.84, "symbols": ["S", "O", "O", "O", "O", "O", "N", "C", "C", "C", "C", "C", "C", "C", "C", "C", "C", "C", "C", "C", "C", "C", "C", "C", "C", "C", "H", "H", "H", "H", "H", "H", "H", "H", "H", "H", "H", "H", "H", "H", "H", "H", "H", "H", "H", "H", "H", "H", "H"], "coordinates": [[-2.435, 1.307, -1.049], [3.475, 2.039, 0.424], [-2.566, -1.401, -0.744], [-1.499, 0.871, -2.046], [0.073, 2.394, -0.515], [-3.835, 1.145, -1.322], [2.051, 0.710, -0.751], [2.923, -0.439, -0.864], [1.264, 2.790, -0.008], [-2.834, -2.779, -0.877], [-0.815, 3.381, -0.307], [1.084, -2.029, -1.574], [-1.700, 1.111, 1.679], [-2.195, -0.912, 0.451], [-1.946, -1.659, 1.601], [-2.195, 3.119, -0.775], [1.672, -1.795, 0.851], [-0.207, 4.424, 0.338], [-1.566, -1.019, 2.768], [2.408, -1.370, -1.961], [-1.443, 0.359, 2.816], [1.219, -2.758, -0.241], [3.015, -1.177, 0.479], [2.387, 1.830, -0.082], [1.141, 4.041, 0.532], [-2.058, 0.479, 0.509], [-1.934, -3.380, -0.713], [0.266, -3.212, 0.038], [3.923, -0.064, -1.121], [-2.045, -2.733, 1.591], [1.121, 0.634, -1.137], [-2.957, 3.455, -0.076], [-1.367, -1.607, 3.651], [-0.664, 5.347, 0.633], [0.796, -2.734, -2.357], [3.337, -0.470, 1.244], [1.953, -3.562, -0.339], [1.917, 4.608, 1.003], [3.772, -1.960, 0.398], [-1.153, 0.849, 3.732], [2.285, -0.807, -2.888], [1.760, -2.323, 1.803], [-3.623, -3.100, -0.190], [0.926, -1.007, 0.977], [-1.618, 2.185, 1.717], [-2.391, 3.552, -1.756], [0.291, -1.280, -1.509], [-3.172, -2.908, -1.903], [3.159, -2.144, -2.133]], "lowdin_charge": [0.73, 0.08, -0.10, -0.28, 0.03, -0.29, 0.13, -0.30, -0.15, -0.05, -0.33, -0.19, -0.05, -0.28, -0.01, -0.11, -0.19, 0.00, -0.07, -0.14, -0.07, -0.20, -0.14, -0.43, 0.03, -0.18, 0.08, 0.09, 0.15, 0.11, 0.13, 0.12, 0.11, 0.11, 0.11, 0.11, 0.12, 0.12, 0.12, 0.11, 0.12, 0.11, 0.10, 0.10, 0.11, 0.12, 0.09, 0.10, 0.12]}

=====

2.